Assignment:
Your job: give back the notes underneath word for word.

Contents:
********
A geometry-optimized BaMoRu2O8 structure, computed with GGA+U.

D(E_F) in states/eV/f.u.: 8.128

Cell: 5.4144 5.4144 7.6532 Å, 90.00 90.00 120.00°
Last column: nearest neighbours and their distance in Å.
Space group P-3 (No. 147)
Asymmetric unit:
Ba  0.0000  0.0000  0.0000 (multiplicity 1)  12 O 2.99-3.14
Mo  0.0000  0.0000  0.5000 (multiplicity 1)  6 O 2.05
Ru  0.3333  0.6667  0.7281 (multiplicity 2)  4 O 1.80-1.85
O  0.0342  0.3096  0.6688 (multiplicity 6)  1 Ru 1.85, 1 Mo 2.05
O  0.3333  0.6667  0.9636 (multiplicity 2)  1 Ru 1.80

=====

A geometry-optimized BaMoS2O8 structure, computed with GGA+U.

D(E_F) in states/eV/f.u.: 0.000

Cell: 5.2212 5.2212 7.8142 Å, 90.00 90.00 120.00°
Last column: nearest neighbours and their distance in Å.
Space group P-3 (No. 147)
Asymmetric unit:
Ba  0.0000  0.0000  0.0000 (multiplicity 1)  12 O 2.92-3.05
Mo  0.0000  0.0000  0.5000 (multiplicity 1)  6 O 2.25
S  0.3333  0.6667  0.7516 (multiplicity 2)  4 O 1.49
O  0.1180  0.3615  0.6936 (multiplicity 6)  1 S 1.49
O  0.3333  0.6667  0.9422 (multiplicity 2)  1 S 1.49

=====

A geometry-optimized Ba3Sb2MoO9 structure, computed with GGA+U.

D(E_F) in states/eV/f.u.: 0.140

Cell: 6.1511 6.1511 7.4977 Å, 90.00 90.00 120.00°
Last column: nearest neighbours and their distance in Å.
Space group P-3m1 (No. 164)
Asymmetric unit:
Ba  0.0000  0.0000  0.0000 (multiplicity 1)  12 O 3.06-3.08
Ba  0.3333  0.6667  0.6548 (multiplicity 2)  12 O 3.01-3.14
Sb  0.3333  0.6667  0.1578 (multiplicity 2)  3 O 2.13
Mo  0.0000  0.0000  0.5000 (multiplicity 1)  6 O 1.95
O  0.0000  0.5000  0.0000 (multiplicity 3)  2 Sb 2.13
O  0.1496  0.2991  0.3490 (multiplicity 6)  1 Mo 1.95

=====

A geometry-optimized BaSbMo2O8 structure, computed with GGA+U.

D(E_F) in states/eV/f.u.: 4.204

Cell: 5.9577 5.9577 7.6776 Å, 90.00 90.00 120.00°
Last column: nearest neighbours and their distance in Å.
Space group P-3 (No. 147)
Asymmetric unit:
Ba  0.0000  0.0000  0.0000 (multiplicity 1)  6 O 2.84
Sb  0.0000  0.0000  0.5000 (multiplicity 1)  6 O 2.29
Mo  0.3333  0.6667  0.7736 (multiplicity 2)  4 O 1.77-1.84
O  0.1617  0.3256  0.7021 (multiplicity 6)  1 Mo 1.84
O  0.3333  0.6667  0.0047 (multiplicity 2)  1 Mo 1.77

=====

A geometry-optimized BaScMoO6 structure, computed with GGA+U.

Cell: 5.4964 9.7323 5.4870 Å, 90.00 90.07 90.00°
Last column: nearest neighbours and their distance in Å.
Space group C2 (No. 5)
Asymmetric unit:
Ba  0.0000  0.0000  0.0000 (multiplicity 2)  6 O 2.70-2.83
Sc  0.0000  0.6848  0.5000 (multiplicity 2)  6 O 2.04-2.14
Mo  0.0000  0.3234  0.5000 (multiplicity 2)  6 O 1.88-2.02
O  0.0995  0.4970  0.6768 (multiplicity 4)  1 Mo 2.02, 1 Sc 2.14, 1 O 2.23
O  0.1777  0.2098  0.7113 (multiplicity 4)  1 Mo 1.88
O  0.2112  0.8140  0.7033 (multiplicity 4)  1 Mo 1.94, 1 Sc 2.04

=====

A geometry-optimized BaSc2MoO8 structure, computed with GGA+U.

D(E_F) in states/eV/f.u.: 0.000

Cell: 4.8213 7.3002 4.8237 Å, 90.00 90.09 90.00°
Last column: nearest neighbours and their distance in Å.
Space group P2/m (No. 10)
Asymmetric unit:
Ba  0.0000  0.0000  0.0000 (multiplicity 1)  6 O 2.62-2.66
Sc  0.5000  0.2932  0.5000 (multiplicity 2)  6 O 2.07-2.27
Mo  0.0000  0.5000  0.0000 (multiplicity 1)  6 O 1.93-2.00
O  0.1960  0.3090  0.1954 (multiplicity 4)  1 Mo 1.93, 1 Sc 2.08
O  0.2932  0.5000  0.7063 (multiplicity 2)  1 Mo 2.00, 2 Sc 2.07
O  0.3891  0.0000  0.6088 (multiplicity 2)  1 O 1.50

=====

A geometry-optimized Ba3Sc2MoO8 structure, computed with GGA+U.

D(E_F) in states/eV/f.u.: 0.000

Cell: 5.9721 5.9721 7.6385 Å, 90.00 90.00 120.00°
Last column: nearest neighbours and their distance in Å.
Space group P-3m1 (No. 164)
Asymmetric unit:
Ba  0.0000  0.0000  0.0000 (multiplicity 1)  6 O 3.02
Ba  0.3333  0.6667  0.6477 (multiplicity 2)  1 O 2.44
Sc  0.3333  0.6667  0.2154 (multiplicity 2)  4 O 1.89-2.01
Mo  0.0000  0.0000  0.5000 (multiplicity 1)  6 O 2.09
O  0.1588  0.3177  0.3319 (multiplicity 6)  1 Sc 2.01, 1 Mo 2.09
O  0.3333  0.6667  0.9676 (multiplicity 2)  1 Sc 1.89

=====
********

Here it is:
A geometry-optimized BaMoRu2O8 structure, computed with GGA+U.

D(E_F) in states/eV/f.u.: 8.128

Cell: 5.4144 5.4144 7.6532 Å, 90.00 90.00 120.00°
Last column: nearest neighbours and their distance in Å.
Space group P-3 (No. 147)
Asymmetric unit:
Ba  0.0000  0.0000  0.0000 (multiplicity 1)  12 O 2.99-3.14
Mo  0.0000  0.0000  0.5000 (multiplicity 1)  6 O 2.05
Ru  0.3333  0.6667  0.7281 (multiplicity 2)  4 O 1.80-1.85
O  0.0342  0.3096  0.6688 (multiplicity 6)  1 Ru 1.85, 1 Mo 2.05
O  0.3333  0.6667  0.9636 (multiplicity 2)  1 Ru 1.80

=====

A geometry-optimized BaMoS2O8 structure, computed with GGA+U.

D(E_F) in states/eV/f.u.: 0.000

Cell: 5.2212 5.2212 7.8142 Å, 90.00 90.00 120.00°
Last column: nearest neighbours and their distance in Å.
Space group P-3 (No. 147)
Asymmetric unit:
Ba  0.0000  0.0000  0.0000 (multiplicity 1)  12 O 2.92-3.05
Mo  0.0000  0.0000  0.5000 (multiplicity 1)  6 O 2.25
S  0.3333  0.6667  0.7516 (multiplicity 2)  4 O 1.49
O  0.1180  0.3615  0.6936 (multiplicity 6)  1 S 1.49
O  0.3333  0.6667  0.9422 (multiplicity 2)  1 S 1.49

=====

A geometry-optimized Ba3Sb2MoO9 structure, computed with GGA+U.

D(E_F) in states/eV/f.u.: 0.140

Cell: 6.1511 6.1511 7.4977 Å, 90.00 90.00 120.00°
Last column: nearest neighbours and their distance in Å.
Space group P-3m1 (No. 164)
Asymmetric unit:
Ba  0.0000  0.0000  0.0000 (multiplicity 1)  12 O 3.06-3.08
Ba  0.3333  0.6667  0.6548 (multiplicity 2)  12 O 3.01-3.14
Sb  0.3333  0.6667  0.1578 (multiplicity 2)  3 O 2.13
Mo  0.0000  0.0000  0.5000 (multiplicity 1)  6 O 1.95
O  0.0000  0.5000  0.0000 (multiplicity 3)  2 Sb 2.13
O  0.1496  0.2991  0.3490 (multiplicity 6)  1 Mo 1.95

=====

A geometry-optimized BaSbMo2O8 structure, computed with GGA+U.

D(E_F) in states/eV/f.u.: 4.204

Cell: 5.9577 5.9577 7.6776 Å, 90.00 90.00 120.00°
Last column: nearest neighbours and their distance in Å.
Space group P-3 (No. 147)
Asymmetric unit:
Ba  0.0000  0.0000  0.0000 (multiplicity 1)  6 O 2.84
Sb  0.0000  0.0000  0.5000 (multiplicity 1)  6 O 2.29
Mo  0.3333  0.6667  0.7736 (multiplicity 2)  4 O 1.77-1.84
O  0.1617  0.3256  0.7021 (multiplicity 6)  1 Mo 1.84
O  0.3333  0.6667  0.0047 (multiplicity 2)  1 Mo 1.77

=====

A geometry-optimized BaScMoO6 structure, computed with GGA+U.

Cell: 5.4964 9.7323 5.4870 Å, 90.00 90.07 90.00°
Last column: nearest neighbours and their distance in Å.
Space group C2 (No. 5)
Asymmetric unit:
Ba  0.0000  0.0000  0.0000 (multiplicity 2)  6 O 2.70-2.83
Sc  0.0000  0.6848  0.5000 (multiplicity 2)  6 O 2.04-2.14
Mo  0.0000  0.3234  0.5000 (multiplicity 2)  6 O 1.88-2.02
O  0.0995  0.4970  0.6768 (multiplicity 4)  1 Mo 2.02, 1 Sc 2.14, 1 O 2.23
O  0.1777  0.2098  0.7113 (multiplicity 4)  1 Mo 1.88
O  0.2112  0.8140  0.7033 (multiplicity 4)  1 Mo 1.94, 1 Sc 2.04

=====

A geometry-optimized BaSc2MoO8 structure, computed with GGA+U.

D(E_F) in states/eV/f.u.: 0.000

Cell: 4.8213 7.3002 4.8237 Å, 90.00 90.09 90.00°
Last column: nearest neighbours and their distance in Å.
Space group P2/m (No. 10)
Asymmetric unit:
Ba  0.0000  0.0000  0.0000 (multiplicity 1)  6 O 2.62-2.66
Sc  0.5000  0.2932  0.5000 (multiplicity 2)  6 O 2.07-2.27
Mo  0.0000  0.5000  0.0000 (multiplicity 1)  6 O 1.93-2.00
O  0.1960  0.3090  0.1954 (multiplicity 4)  1 Mo 1.93, 1 Sc 2.08
O  0.2932  0.5000  0.7063 (multiplicity 2)  1 Mo 2.00, 2 Sc 2.07
O  0.3891  0.0000  0.6088 (multiplicity 2)  1 O 1.50

=====

A geometry-optimized Ba3Sc2MoO8 structure, computed with GGA+U.

D(E_F) in states/eV/f.u.: 0.000

Cell: 5.9721 5.9721 7.6385 Å, 90.00 90.00 120.00°
Last column: nearest neighbours and their distance in Å.
Space group P-3m1 (No. 164)
Asymmetric unit:
Ba  0.0000  0.0000  0.0000 (multiplicity 1)  6 O 3.02
Ba  0.3333  0.6667  0.6477 (multiplicity 2)  1 O 2.44
Sc  0.3333  0.6667  0.2154 (multiplicity 2)  4 O 1.89-2.01
Mo  0.0000  0.0000  0.5000 (multiplicity 1)  6 O 2.09
O  0.1588  0.3177  0.3319 (multiplicity 6)  1 Sc 2.01, 1 Mo 2.09
O  0.3333  0.6667  0.9676 (multiplicity 2)  1 Sc 1.89

=====